_What to do_
What is needed: say how many lines of the rows further below hold the word "crystal", as a bare number.

_Given_
-- begin --
A plane-wave DFT calculation with GGA+U was carried out for NpMn2AgO6 after structural relaxation.

The crystal system is monoclinic. Its total energy is -157.20 eV for the cell shown.

The space group is P2_1/c (No. 14) and the conventional cell measures 5.9293, 5.4462 and 10.3254 Å, with angles of 90.00, 122.64 and 90.00 degrees. The inequivalent atoms are Np at (0.0000, 0.0000, 0.0000), Mn at (0.3423, 0.0074, 0.8011), Ag at (0.5000, 0.0000, 0.5000), O at (0.0385, 0.2403, 0.6407), O at (0.3080, 0.1568, 0.9793) and O at (0.3186, 0.6925, 0.6829).

~~~~~

A relaxed structure of MgBRu2. Source: Alexandria via LeMat-Bulk, functional GGA-PBE.

Computed properties:
- Magnetization: 0.7 μB/f.u.
- Energy of formation from the pure elements: -0.10 eV per atom

a = 2.9405 Å, b = 2.9405 Å, c = 21.3442 Å
α = 90.00°, β = 90.00°, γ = 120.00°
Space group R-3m (No. 166, hexagonal axes)
Inequivalent atoms, fractional coordinates:
Mg  0.0000  0.0000  0.0000 [3 per cell]
B  0.0000  0.0000  0.5000 [3 per cell]
Ru  0.0000  0.0000  0.2266 [6 per cell]

~~~~~

1.
Zr2Ni: optimized geometry, PBE.

Geometry as POSCAR:
```
Zr2Ni
1.0
3.2235 0.0000 0.0000
0.0000 6.1364 0.0000
0.0000 0.0000 6.3438
Zr Ni
4 2
direct
0.5000 0.7152 0.1541
0.5000 0.2848 0.8459
0.0000 0.7848 0.6541
0.0000 0.2152 0.3459
0.5000 0.5000 0.5000
0.0000 0.0000 0.0000
```

The formation energy comes out at 58 meV per atom. The calculation puts the total magnetization at 0.0 μB/cell. For the theoretical density, the calculation gives 6.4 g cm⁻³. The space group is Pnnm.


2.
Zr2Ni: optimized geometry, PBE.

Geometry as POSCAR:
```
Zr2Ni
1.0
0.8568 -1.6769 12.9019
1.3748 2.5211 12.7184
-3.2088 -0.1563 -12.6366
Zr Ni
4 2
direct
0.3189 0.8189 0.5000
0.1811 0.6811 0.5000
0.5689 0.5689 0.0000
0.4311 0.4311 0.0000
0.7500 0.2500 0.5000
0.0000 0.0000 0.0000
```

The formation energy comes out at -46 meV per atom. The calculation puts the total magnetization at 0.0 μB/cell. For the theoretical density, the calculation gives 6.9 g cm⁻³. The space group is I4_1/amd.


3.
ZrNi2: optimized geometry, PBE.

Geometry as POSCAR:
```
ZrNi2
1.0
4.9345 0.0000 0.0000
2.4673 4.2734 0.0000
-2.4673 -1.4245 4.0290
Zr Ni
2 4
direct
0.1250 0.6250 0.8750
0.8750 0.3750 0.1250
0.0000 0.0000 0.5000
0.5000 0.5000 0.5000
0.5000 0.0000 0.5000
0.5000 0.0000 0.0000
```

The formation energy comes out at -411 meV per atom. The calculation puts the total magnetization at 0.0 μB/cell. For the theoretical density, the calculation gives 8.2 g cm⁻³. The space group is Fd-3m.


4.
Zr2Ni: optimized geometry, PBE.

Geometry as POSCAR:
```
Zr2Ni
1.0
-0.6372 -2.7248 -1.6327
2.9999 1.2233 0.0019
1.4100 -3.4662 5.2344
Zr Ni
2 1
direct
0.3333 0.6667 0.3026
0.6667 0.3333 0.6974
0.0000 0.0000 0.0000
```

The formation energy comes out at -39 meV per atom. The calculation puts the total magnetization at 0.0 μB/cell. For the theoretical density, the calculation gives 6.8 g cm⁻³. The space group is P-3m1.


5.
ZrNi2: optimized geometry, PBE.

Geometry as POSCAR:
```
ZrNi2
1.0
3.5062 0.0000 0.0000
-1.7531 5.5457 -0.0249
0.0000 2.4292 4.5609
Ni Zr
4 2
direct
0.4072 0.8144 0.8152
0.6483 0.2967 0.5737
0.0277 0.0555 0.4499
0.0278 0.0556 0.9390
0.3508 0.7015 0.3715
0.7048 0.4096 0.0174
```

The formation energy comes out at -369 meV per atom. The calculation puts the total magnetization at 0.0 μB/cell. For the theoretical density, the calculation gives 7.8 g cm⁻³. The space group is Immm.


6.
Zr5Ni4: optimized geometry, PBE.

Geometry as POSCAR:
```
Zr5Ni4
1.0
3.1875 4.5637 2.8702
-5.7012 -2.5712 0.3330
3.2201 -4.8402 2.3301
Zr Ni
5 4
direct
0.3203 0.3203 0.6407
0.0000 0.0000 0.0000
0.6797 0.3203 0.0000
0.3203 0.6797 0.0000
0.6797 0.6797 0.3593
0.3536 0.0000 0.3536
0.0000 0.3536 0.3536
0.6464 0.0000 0.6464
0.0000 0.6464 0.6464
```
-- stop --

_Reply_
1